2:00 Glute Activation Steps + Air Squats
2 Rounds
10 A-frame Toe Touches
200m Run
14 Wallballs

Back Squat
Set 1: lighter warm up set
Set 2: Moderate-heavy
Set 3: AHAP – 10RM territory
*a 10 rep max (territory) should really take it out of you. you should feel pretty wiped out after that. If you are new or not comfortable hitting a 10 rep max, its ok to an extra set of 10 at a lighter weight then a couple sets of heavier 5. People generally tweak something or pull something when they are not comfortable with what they are doing, they get nervous about it, then everything falls apart

*** wall space is not a crisis! 5 minutes wod, run two heats, and count for each other.
AMRAP 5 Minutes
Run 400m
then, AMRAP in remaining time of:
8 Thrusters 95/65lbs
2 Wall Walks Score is total reps of Thrusters + Wall Walks

Feel: Gas

Pacing: Reach

Target Score: 30+ Reps

Someone pasted crystal structures at this point:
____________
No. 1
The following is a computed powder diffractogram of Gd2C3. It was derived from a crystal structure in OQMD, relaxed with PBE, using Cu Kα (weighted mean of Kα1 and Kα2).

Most intense lines, 10° ≤ 2θ ≤ 80°, sorted by position:
- 2θ = 26.23°, I 48
- 2θ = 30.38°, I 100
- 2θ = 34.07°, I 100
- 2θ = 40.56°, I 51
- 2θ = 56.38°, I 66
- 2θ = 60.98°, I 29

Structural model:
Unit cell a=7.207 b=7.207 c=7.207 alpha=109.47 beta=109.47 gamma=109.47
Positions (direct):
Gd 0.000 0.102 0.500
Gd 0.000 0.602 0.500
Gd 0.102 0.500 0.000
Gd 0.398 0.398 0.398
Gd 0.500 0.000 0.102
Gd 0.500 0.000 0.602
Gd 0.602 0.500 0.000
Gd 0.898 0.898 0.898
C 0.045 0.795 0.250
C 0.205 0.955 0.250
C 0.250 0.045 0.795
C 0.250 0.205 0.955
C 0.295 0.545 0.750
C 0.455 0.705 0.750
C 0.545 0.750 0.295
C 0.705 0.750 0.455
C 0.750 0.295 0.545
C 0.750 0.455 0.705
C 0.795 0.250 0.045
C 0.955 0.250 0.205

=====

No. 2
The following is a computed powder diffractogram of NbH3Se4. It was derived from a crystal structure in OQMD, relaxed with PBE, using Cu Kα (weighted mean of Kα1 and Kα2).

Most intense lines, 10° ≤ 2θ ≤ 80°, sorted by position:
- 2θ = 19.74°, I 46
- 2θ = 28.06°, I 36
- 2θ = 34.54°, I 37
- 2θ = 40.10°, I 100
- 2θ = 53.94°, I 26
- 2θ = 61.90°, I 23

Structural model:
Unit cell a=5.508 b=5.508 c=5.508 alpha=109.47 beta=109.47 gamma=109.47
Positions (direct):
Nb 0.000 0.000 0.000
H 0.000 0.500 0.500
H 0.500 0.000 0.500
H 0.500 0.500 0.000
Se 0.000 0.000 0.446
Se 0.000 0.446 0.000
Se 0.446 0.000 0.000
Se 0.554 0.554 0.554

=====

No. 3
The following is a computed powder diffractogram of HfBe8. It was derived from a crystal structure in OQMD, relaxed with PBE, using Cu Kα (weighted mean of Kα1 and Kα2).

Most intense lines, 10° ≤ 2θ ≤ 80°, sorted by position:
- 2θ = 12.91°, I 100
- 2θ = 22.47°, I 30
- 2θ = 26.00°, I 15
- 2θ = 34.62°, I 21
- 2θ = 42.23°, I 12
- 2θ = 53.94°, I 11

Structural model:
Unit cell a=7.915 b=7.915 c=2.253 alpha=90.00 beta=90.00 gamma=120.00
Positions (direct):
Hf 0.000 0.000 0.000
Be 0.176 0.353 0.500
Be 0.176 0.824 0.500
Be 0.333 0.667 0.500
Be 0.353 0.176 0.500
Be 0.647 0.824 0.500
Be 0.667 0.333 0.500
Be 0.824 0.176 0.500
Be 0.824 0.647 0.500

----------

The following is a simulated XRD peak list of LiFeSiO4. It was derived from a cell relaxed with PBE+U, using copper Kα.
Lines closer than 0.1° are merged.

Structural model:
Cell lengths 7.847, 9.159, 4.984 Å; angles 90.00, 90.00, 90.00 degrees
Fractional positions:
Li  0.048  0.113  0.000
Li  0.452  0.613  0.500
Li  0.548  0.387  0.000
Li  0.952  0.887  0.500
Fe  0.177  0.522  0.059
Fe  0.323  0.022  0.559
Fe  0.677  0.978  0.059
Fe  0.823  0.478  0.559
Si  0.226  0.361  0.610
Si  0.274  0.861  0.110
Si  0.726  0.139  0.610
Si  0.774  0.639  0.110
O  0.051  0.444  0.722
O  0.137  0.966  0.276
O  0.218  0.191  0.711
O  0.246  0.867  0.786
O  0.254  0.367  0.286
O  0.282  0.691  0.211
O  0.363  0.466  0.776
O  0.449  0.944  0.222
O  0.551  0.056  0.722
O  0.637  0.534  0.276
O  0.718  0.309  0.711
____________

Firebreather Score: 50+ Reps


  • Run: Should not exceed 2:00 or the distance should be reduced. If using a machine 1K/.9K Bike, 500m Row/Ski should be used only in the instance of injury.
  • Thrusters: Should allow for unbroken sets. Reduce weight, not reps
  • Wall Walks: Should not exceed :30 to complete the 2 walks, or reduce to 1 walk.

Coach Focus: The 400m run buy-in ensures that all athletes are breathing heavy as they get to the barbell. Barbell reps should allow for quick, unbroken sets of thrusters, so coaches need to ensure athletes barbell weights are appropriate. Then, when athletes get to the wall walk they should have their steps dialed in so they are not wasting time with unnecessary time under tension and/or extra steps in and out from the wall. Coaches check out the tip attached below on how to help athletes dial in their wall walk steps.

Additional Notes/Resources: Wall Walk Efficiency – Same Number of Steps Every Time!

Straight Through
Run 400m
10 Inch Worms
20 Plank Transitions
10 S-Arm Devil’s Press Run 400m

**if you can not or do not want to go upside down, don’t skip class!!! we can do overhead holds

Upside-down Test
6 Minute cap
For Time, Choose 1 based on ability level:
Option 1- 300′ HS Walk
Option 2: 150′ HS Walk
Option 3- 50′ HS Walk
Option 4- accumulate as much time as possible (in the 6 minute window) of a handstand hold against the wall
Option 6.. so many options- if you are down to 1 mat for handstand pushups. go for max reps of handstand push ups in 4 minutes
Option 5- accumulate as much time as possible (in the 6 minutes) with a barbell locked out overhead

All levels are performed in 25′ sections, with 5 foot intervals. if you fall get up and start at your last 5 foot mark. Can you turn around???

7 Rounds
50 Double Unders
5 Devil’s Press 50s/35s
8 Toes to Bar

Feel: Muscle Overload

Pacing: Sustain

Target Score: 10-16 Minutes

Firebreather Score: Sub-9 Minutes 


  • Double Unders: Should not exceed :45 in any round, reduce reps or scale to single unders
  • DP: Should never exceed :45 to complete, scale weight before reps
  • Toes to Bar: Ideally 1 set but can turn into 2 sets, but not 3.

Coach Focus: The muscular overload stimulus should cue both coaches and athletes that at some point in today’s 7 round workout that athletes will get stopped by localized muscular fatigue. But, with that in mind, athletes should not 2:15 to complete any of their 7 rounds.

1:00 each leg couch stretch

Every 1:30 For 6:00
3 Wall Walks
10 Jumping Lunges
10 bike sprint

Coach Focus: Today’s session starts a 5 week progression that is centered on the idea of rep accumulation making athletes stronger. Each week athletes will perform 2-3 sets of “high rep” deadlifts with the goal of proving to athletes that time under tension is an incredibly effective way to improve strength. Coaches should be hyper focused on helping athletes understand how to return to set up correctly and then return the bar correctly for the next rep. Take extra time to review the mechanics of the deadlift set up

Additional Notes/Resources: Perfecting the Deadlift Set Up Position and Deadlift Tips – Proper Loading on the Descent

Set 1: lighter warm up set
Set 2: Moderate-heavy
Set 3: AHAP

AMRAP 9 Minutes
50′ Single DB Front Rack Lunge 70/50lbs
10 Pull Ups


3-5 Sets for Quality

These crystal structures were left in the text by mistake =
~~~
No. 1
Calculated powder XRD pattern of Pm6Ga5Hg for Cu Kα (weighted mean of Kα1 and Kα2), from a PBE-relaxed structure.
Neutral-atom scattering factors, no anomalous dispersion.

Atomic structure:
```
Pm6Ga5Hg
1.0
2.6216 -7.8551 0.0000
2.6216 7.8551 0.0000
0.0000 0.0000 7.3778
Pm Ga Hg
6 5 1
direct
0.0000 0.0000 0.2451
0.0000 0.0000 0.7549
0.3307 0.6693 0.2480
0.3307 0.6693 0.7520
0.6693 0.3307 0.2480
0.6693 0.3307 0.7520
0.1630 0.8370 0.5000
0.1655 0.8345 0.0000
0.5000 0.5000 0.0000
0.8345 0.1655 0.0000
0.8370 0.1630 0.5000
0.5000 0.5000 0.5000
```

Most intense lines, 15° ≤ 2θ ≤ 90°, by intensity:
| 2theta | Rel. int. |
| --- | --- |
| 34.28 | 100 |
| 61.33 | 24 |
| 61.48 | 12 |
| 49.18 | 12 |
| 82.31 | 11 |
| 72.28 | 7 |

No. 2
Calculated powder XRD pattern of PmZrGaHg for Cu Kα (weighted mean of Kα1 and Kα2), from a PBE-relaxed structure.
Neutral-atom scattering factors, no anomalous dispersion.

Atomic structure:
```
PmZrGaHg
1.0
0.0000 3.6007 3.6007
3.6007 0.0000 3.6007
3.6007 3.6007 0.0000
Pm Zr Ga Hg
1 1 1 1
direct
0.0000 0.0000 0.0000
0.5000 0.5000 0.5000
0.7500 0.7500 0.7500
0.2500 0.2500 0.2500
```

Most intense lines, 15° ≤ 2θ ≤ 90°, by intensity:
| 2theta | Rel. int. |
| --- | --- |
| 35.25 | 100 |
| 63.26 | 36 |
| 50.71 | 18 |
| 85.23 | 16 |
| 21.37 | 16 |
| 74.54 | 11 |

No. 3
Calculated powder XRD pattern of Pr2Ga2Hg3 for Cu Kα (weighted mean of Kα1 and Kα2), from a PBE-relaxed structure.
Neutral-atom scattering factors, no anomalous dispersion.

Atomic structure:
```
Pr2Ga2Hg3
1.0
2.1477 -11.0460 0.0000
2.1477 11.0460 0.0000
0.0000 0.0000 3.7213
Pr Ga Hg
2 2 3
direct
0.1585 0.8415 0.0000
0.8415 0.1585 0.0000
0.2813 0.7187 0.5000
0.7187 0.2813 0.5000
0.0000 0.0000 0.0000
0.4282 0.5718 0.5000
0.5718 0.4282 0.5000
```

Most intense lines, 15° ≤ 2θ ≤ 90°, by intensity:
| 2theta | Rel. int. |
| --- | --- |
| 32.08 | 100 |
| 35.29 | 65 |
| 34.26 | 60 |
| 55.33 | 31 |
| 61.78 | 26 |
| 42.07 | 23 |

No. 4
Calculated powder XRD pattern of Pr4Ga3Hg for Cu Kα (weighted mean of Kα1 and Kα2), from a PBE-relaxed structure.
Neutral-atom scattering factors, no anomalous dispersion.

Atomic structure:
```
Pr4Ga3Hg
1.0
5.3206 0.0000 0.0000
0.0000 5.3206 0.0000
0.0000 0.0000 7.5729
Pr Ga Hg
4 3 1
direct
0.0000 0.5000 0.2441
0.0000 0.5000 0.7559
0.5000 0.0000 0.2441
0.5000 0.0000 0.7559
0.0000 0.0000 0.0000
0.0000 0.0000 0.5000
0.5000 0.5000 0.0000
0.5000 0.5000 0.5000
```

Most intense lines, 15° ≤ 2θ ≤ 90°, by intensity:
| 2theta | Rel. int. |
| --- | --- |
| 33.58 | 100 |
| 33.69 | 50 |
| 60.18 | 37 |
| 59.97 | 19 |
| 48.39 | 18 |
| 80.75 | 16 |

No. 5
Calculated powder XRD pattern of PrSm2Ga2Hg2 for Cu Kα (weighted mean of Kα1 and Kα2), from a PBE-relaxed structure.
Neutral-atom scattering factors, no anomalous dispersion.

Atomic structure:
```
PrSm2Ga2Hg2
1.0
2.3439 1.3533 9.6332
-2.3439 1.3533 9.6332
0.0000 -2.7065 9.6332
Pr Sm Ga Hg
1 2 2 2
direct
0.0000 0.0000 0.0000
0.1293 0.1293 0.1293
0.8707 0.8707 0.8707
0.2515 0.2515 0.2515
~~~

– 10-20 Ring Rows for speed/pump
– 10-20 Alternating Leg V-Ups
– :30 Copenhagen Hold per leg

The girls!

running clock. get after it

Grace, Helen, Karen

Split the work however you want, start the entire workout with an 800m partner (we’ll us the old 800 mark) straight into

Grace 30 Clean and Jerks for time split how you want

Helen, 3 rounds (split the work evenly but run together)

400 meter Run (Run together) (2×200)

42 Kettlebell Swings 53/35

24 Pull-Ups

Then Karen 150 wall balls

8am Endurance
teams of 4 waterfall
10 rounds each, 1 minute each station

We will posting 2 of the wod wars wods so get your teams here to practice.

Warm up, yes a saturday warm up
3 Rounds
10 hang snatches- (empty bar or add weight each round if you want)
10 front squats
10 Hand cleans

Wod 1- Teams of 3
For Time/Calories – 9 Minute Running Clock

Between two parts of the article: crystal structures.
The following is a calculated PXRD pattern of PbC2S2N2. It was derived from DFT lattice parameters and positions (PBE), using λ = 1.5418 Å (Cu Kα).

The 10 most intense peaks (2θ = 15–90°), by angle:
d_spacing  I/Imax  h k l
5.490  100  1 1 0
5.037  64  2 0 0
4.588  93  1 1 -1
4.175  66  0 0 2
3.324  91  1 1 -2
3.212  45  2 0 2
2.988  64  3 1 0
2.608  94  2 2 -1
2.429  51  3 1 2
1.954  53  1 1 -4

Crystal structure
a b c (Å): 10.073 6.548 8.351
angles (deg): 90.00 90.10 90.00
Space group C2/c (No. 15)
Unique sites:
Pb1 0.000 0.104 0.250 x4
C1 0.119 0.364 0.603 x8
S1 0.204 0.444 0.170 x8
N1 0.058 0.220 0.554 x8

~~~~~

The following is a theoretical X-ray diffraction stick pattern of SrZr3. It was derived from a crystal structure in Alexandria, relaxed with PBE, using Cu Ka.

Structural model:
```
SrZr3
1.0
7.4892 0.0000 0.0000
0.0000 7.4892 0.0000
0.0000 0.0000 7.4892
Sr Zr
4 12
Cartesian
0.0000 0.0000 0.0000 Sr
0.0000 3.7446 3.7446 Sr
3.7446 0.0000 3.7446 Sr
3.7446 3.7446 0.0000 Sr
0.0000 0.0000 3.7446 Zr
0.0000 3.7446 0.0000 Zr
1.8723 1.8723 1.8723 Zr
1.8723 1.8723 5.6169 Zr
1.8723 5.6169 1.8723 Zr
1.8723 5.6169 5.6169 Zr
3.7446 0.0000 0.0000 Zr
3.7446 3.7446 3.7446 Zr
5.6169 1.8723 1.8723 Zr
5.6169 1.8723 5.6169 Zr
5.6169 5.6169 1.8723 Zr
5.6169 5.6169 5.6169 Zr
```

Most intense lines, 2θ from 15° to 90°, by angle:
2θ/deg	I/Imax
33.9	100
48.6	18
60.6	36
71.2	11
81.2	15

=====

The following is a theoretical X-ray diffraction stick pattern of Y3ThTe4. It was derived from a crystal structure in Alexandria, relaxed with PBE, using Cu Ka.

Structural model:
```
Y3ThTe4
1.0
8.8661 0.0000 0.0000
0.0000 12.4421 0.0000
0.0000 0.0000 4.3498
Y Th Te
6 2 8
Cartesian
0.0000 0.0000 0.0000 Y
2.2165 3.1105 2.1749 Y
2.2165 9.3316 2.1749 Y
4.4331 6.2210 0.0000 Y
6.6496 3.1105 2.1749 Y
6.6496 9.3316 2.1749 Y
0.0000 6.2210 0.0000 Th
4.4331 0.0000 0.0000 Th
0.0000 3.0625 0.0000 Te
0.0000 9.3796 0.0000 Te
2.1436 0.0000 2.1749 Te
2.2894 6.2210 2.1749 Te
4.4331 3.1586 0.0000 Te
4.4331 9.2835 0.0000 Te
6.5767 6.2210 2.1749 Te
6.7225 0.0000 2.1749 Te
```

Most intense lines, 2θ from 15° to 90°, by angle:
2θ/deg	I/Imax
28.7	100
40.7	13
41.1	50
41.5	12
50.6	14
51.3	13
59.6	8
67.4	23
74.3	8
75.4	8

=====

The following is a theoretical X-ray diffraction stick pattern of ThCuTcGe2. It was derived from a crystal structure in Alexandria, relaxed with PBE, using Cu Ka.

Structural model:
```
ThCuTcGe2
1.0
4.1000 0.0000 0.0000
0.0000 4.1000 0.0000
0.0000 0.0000 10.9799
Th Cu Tc Ge
2 2 2 4
Cartesian
0.0000 0.0000 0.0000 Th
2.0500 2.0500 5.4899 Th
0.0000 2.0500 2.7450 Cu
2.0500 0.0000 8.2349 Cu
0.0000 2.0500 8.2349 Tc
2.0500 0.0000 2.7450 Tc
0.0000 0.0000 4.1540 Ge
0.0000 0.0000 6.8259 Ge
2.0500 2.0500 1.3360 Ge
2.0500 2.0500 9.6439 Ge
```

Most intense lines, 2θ from 15° to 90°, by angle:
2θ/deg	I/Imax
23.2	24
30.8	18
32.8	78
35.0	100
44.2	48
46.9	32
56.1	35
59.8	19
66.4	23
75.3	21

=====

  • Hang Snatch 
  • Bar Over Burpee
  • Athlete 1: 12-9-6 
  • Athlete 2: 9-6-3 
  • Athlete 3: 7-4-2 

*Score 1 is time or total reps at 9 min cap*

The Catch

  • Rower Calories: Each team will have a rower for the duration of the workout. Teammates can alternate on/off the rower at any time throughout the 9 min event.

*Score 2 is total calories on the rower at the 9 minute mark *

Take a 5 Minutes break then
Wod 2

7 Min Cap

  • Athlete 1: Max Complex – 1 Clean (From Ground) + 2 Hang Cleans + 1 Front Squat
  • Athlete 2: Max Complex – 1 Clean (From Ground) + 1 Hang Clean + 1 Front Squat
  • Athlete 3: Max Complex – 1 Clean (From Ground) + 1 Hang Clean

*Score is total weight between all teammates*

Team Flow

Teams may start with Athlete 1’s starting weight on the bar. At the call of 3-2-1 go! Athlete 1 will work to establish his/her heaviest lift at the given complex. Once complete, Athlete 2 will work to establish his/her heaviest lift at the given complex. Once complete, Athlete 3 will work to establish his/her heaviest lift at the given complex.

1 151 152 153 154 155 533